Almost Killed – Twice

What direction do you suppose the drivers in the green Kia and dark plum taxi above are looking (and encouraged to look based on road design)?

  • As almost everywhere in the US, they are legally allowed to turn right on red.
  • They are likely in at least somewhat of a hurry and would prefer to turn and get on their way rather than wait for a green light. This especially given the very long light cycles here.
  • They may be feeling pressure from cars behind them that if they don’t turn as soon as possible that they’ll be honked at.

I’m fairly confident that their attention was focused solely to their left, not straight ahead or to the right. They are looking, not for people in the crossing, but for a gap in traffic so that they can gun it and get on their way. This based on them lurching forward and then slamming on their brakes when they, very fortunately, apparently finally saw the bicycle rider (who did have a white crossing signal).

(Materials data that have nothing to do with the article)
Entry 1:
A PBEsol-optimized structure of TiMnGe3. Source: Alexandria, functional meta-GGA SCAN.

Unit cell a=4.4972 b=4.4972 c=4.4972 alpha=90.00 beta=90.00 gamma=90.00
Closest atoms and distances in Å follow each position.
Fractional coordinates of all 5 atoms:
Ti (0.5000, 0.5000, 0.5000)  12 Ge 3.18
Ge (0.0000, 0.5000, 0.0000)  2 Mn 2.25
Ge (0.0000, 0.0000, 0.5000)  2 Mn 2.25
Ge (0.5000, 0.0000, 0.0000)  2 Mn 2.25
Mn (0.0000, 0.0000, 0.0000)  6 Ge 2.25

The symmetry is Pm-3m (221). The calculation puts the formation enthalpy at 0 K at 0.38 eV per atom.

Entry 2:
A PBEsol-optimized structure of TlPt3W. Source: Alexandria, functional meta-GGA SCAN.

Unit cell a=4.8486 b=4.8486 c=4.8486 alpha=90.00 beta=90.00 gamma=90.00
Closest atoms and distances in Å follow each position.
Fractional coordinates of all 5 atoms:
Pt (0.0000, 0.5000, 0.0000)  2 W 2.42
Pt (0.5000, 0.0000, 0.0000)  2 W 2.42
Pt (0.0000, 0.0000, 0.5000)  2 W 2.42
W (0.0000, 0.0000, 0.0000)  6 Pt 2.42
Tl (0.5000, 0.5000, 0.5000)  12 Pt 3.43

The symmetry is Pm-3m (221). The calculation puts the relative energy among the computed polymorphs at 0 meV per atom. The calculation puts the formation enthalpy at 0 K at 0.92 eV per atom.

Entry 3:
A PBEsol-optimized structure of Ag4TeMo. Source: Alexandria, functional meta-GGA SCAN.

Unit cell a=5.4301 b=5.4301 c=5.4301 alpha=60.00 beta=60.00 gamma=60.00
Closest atoms and distances in Å follow each position.
Fractional coordinates of all 6 atoms:
Ag (0.8735, 0.3755, 0.3755)  6 Ag 2.70-2.73
Ag (0.3755, 0.3755, 0.3755)  6 Ag 2.70-2.73
Ag (0.3755, 0.8735, 0.3755)  6 Ag 2.70-2.73
Ag (0.3755, 0.3755, 0.8735)  6 Ag 2.70-2.73
Mo (0.7500, 0.7500, 0.7500)  12 Ag 3.18, 4 Te 3.33
Te (0.0000, 0.0000, 0.0000)  12 Ag 3.18, 4 Mo 3.33

The calculation puts the raw formation energy at 0.49 eV/atom. The symmetry is F-43m (216).

Entry 4:
A PBEsol-optimized structure of Cs3ScF6. Source: Alexandria, functional meta-GGA SCAN.

Unit cell a=6.6283 b=6.6283 c=9.7378 alpha=90.00 beta=90.00 gamma=90.00
Closest atoms and distances in Å follow each position.
Fractional coordinates of all 20 atoms:
F (0.2741, 0.8657, 0.0000)  1 Sc 2.02
F (0.8657, 0.7259, 0.0000)  1 Sc 2.02
F (0.1343, 0.2741, 0.0000)  1 Sc 2.02
F (0.0000, 0.0000, 0.7917)  1 Sc 2.03
F (0.7741, 0.6343, 0.5000)  1 Sc 2.02
F (0.5000, 0.5000, 0.2917)  1 Sc 2.03
F (0.7259, 0.1343, 0.0000)  1 Sc 2.02
F (0.2259, 0.3657, 0.5000)  1 Sc 2.02
F (0.6343, 0.2259, 0.5000)  1 Sc 2.02
F (0.0000, 0.0000, 0.2083)  1 Sc 2.03
F (0.5000, 0.5000, 0.7083)  1 Sc 2.03
F (0.3657, 0.7741, 0.5000)  1 Sc 2.02
Cs (0.0000, 0.5000, 0.2500)  8 F 2.99-3.34
Cs (0.5000, 0.5000, 0.0000)  6 F 2.84-2.85
Cs (0.5000, 0.0000, 0.7500)  8 F 2.99-3.34
Cs (0.0000, 0.5000, 0.7500)  8 F 2.99-3.34
Cs (0.0000, 0.0000, 0.5000)  6 F 2.84-2.85
Cs (0.5000, 0.0000, 0.2500)  8 F 2.99-3.34
Sc (0.5000, 0.5000, 0.5000)  6 F 2.02-2.03
Sc (0.0000, 0.0000, 0.0000)  6 F 2.02-2.03

What if one of them hadn’t noticed her? Or had noticed her one second later?

Right On Red appears to be about the 5th highest cause of deaths and injuries of pedestrians in Minnesota behind overtaking hits, hit from behind (for instance, someone being hit while walking on a shoulder), car turning left, and car turning right (e.g., no traffic light). The table below is taken from the Minnesota Department of Public Safety’s Minnesota Motor Vehicle Crash Facts from 2015.

From MN Crash Facts 2015

In 2015, of 47 pedestrian deaths and 899 injuries, 1 death and 22 injuries were reported as related to the offending driver turning right on red. At least 3 of the 22 right-on-red injuries resulted in permanent disabilities.

No data on prior action of the driver is provided for bicycle fatalities and injuries though failure to yield right-of-way by the vehicle driver accounts for 31% of the 10 bicycle deaths and 873 injuries followed by driver inattention accounting for 16%.

Does right-on-red contribute to more deaths and injuries than those attributed in police reports? Likely. Some of the ‘unknown’, ‘all others’ and various other categories likely involved someone turning right on red without paying proper attention. Police have told me that accuracy in crash reports leaves a lot to be desired.

Follow-on Deaths and Injuries

There’s one more important bit though where right-on-red may contribute more than indicated.

Everything about US roads and driving says to go quickly and get where you’re going in a hurry and as fast as possible. US road designs scream to drivers that they are the most important and have priority over all others. US traffic engineers focus on making sure that vehicle speeds are high and delays minimal. There are even wide sweeping turns at junctions so that drivers need not even slow very much when not stopping before turning right on red. When we plan a trip in the US we often plan for the most optimistic time and then drive quickly and without our full attention to get where we’re going in the tight time that we allocated.

Driving in Europe is rather different. Safety plays a massively greater role in road design. There is no right-on-red so you stop at traffic lights more often (signal cycles are also considerably shorter). Speeds are much lower on any roads where people walking or riding bicycles may be present. This not just because of the posted speed limit but also narrower lanes, much tighter turn radiuses at junctions, and cement curbs and bollards directly adjacent to the road that encourage people to drive slower and pay much better attention. As I’ve said many times, cement enforces better than paint or paper. Except on motorways, driving is often a much slower and patient and attention requiring exercise. It’s a different mentality.

What Are We Thinking?

The US has the most dangerous road system designs of all developed countries. You are more likely to be killed on a US road than any other road in any other developed country.

Not surprisingly we also have the highest pedestrian and cyclist fatality rates of all developed countries. Someone walking in the US is over twice as likely to be killed by someone driving a car as someone in Europe. Someone riding a bicycle is five times as likely to be killed. That’s an engineering failure of a rather huge magnitude.

Germany, for instance, has 1.3 deaths per 100 million km walked while we have 4.7. (

Per capita, the United States has 15 pedestrian deaths per one million people and Minnesota 11. Sweden, Norway, and The Netherlands are all below 3. The average for the European Union is 5 and for all OECD countries is 7. If you remove the US though, then the OECD average drops to below 6.

These are all the result of poor road designs. What are US traffic engineering thinking when they design junctions like the one above that encourage drivers to look in the opposite direction of where they are going and encourage them to look away from people whom they endanger.

Perhaps there’s a good reason why no other developed country except Canada allows right-on-red.

Note: I took the lead photo because she made me happy. I liked her bicycle and fashion sense. It was a second after when she was almost killed. 


Walker Angell

About Walker Angell

Walker Angell is a writer who focuses mostly on social and cultural comparisons of the U.S. and Europe. He occasionally blogs at, a blog focused on everyday bicycling and local infrastructure for people who don’t have a chamois in their shorts. And on twitter @LocalMileMN